Structuring Python projects properly, especially when developing packages, can often be confusing. Many developers struggle with common questions: To help clarify these common challenges, I’ll show how I typically set up Python projects and organise package structures using the Python package and environment manager, uv. The challenge A typical and recurring problem in Python is… Continue reading Case Study: Developing and Testing Python Packages with uv
Articles on packaging
Dane Hillard on Python packaging and effective developer tooling
By PyBites Team on 5 April 2023
Watch here: Or listen here: In this week’s episode we talk with Dane about packaging and the rich ecosystem of Python tooling. Dane is the author of Publishing Python Packages, a new Manning book that just came out. In our conversation we dive into some of the specific challenges and opportunities that come with packaging… Continue reading Dane Hillard on Python packaging and effective developer tooling
Teaching packaging by building a Python package
By PyBites Team on 25 March 2023
Listen here Or watch here (recommended because there will be code!) Welcome back to our podcast. In this week’s episode we look at Python packaging. I was teaching this on our weekly PDM Code Clinic call and we ended up building quite a useful Pybites Open Source tool. Introducing pybites-search, a command line tool to… Continue reading Teaching packaging by building a Python package
5 ways I use GitHub Actions
By Bob Belderbos on 14 December 2022
(Someone pasted records of molecules at this point)
┌──
No. 1
{"formula": "C4H6OS", "method": "wB97M-V/def2-TZVPD", "symbols": ["S", "O", "C", "C", "C", "C", "H", "H", "H", "H", "H", "H"], "positions_angstrom": [[-2.1355, -0.0113, -0.2955], [-3.2149, 0.1122, 0.6639], [0.2247, -0.2040, 0.0863], [-0.4951, 1.0432, 0.0245], [1.6756, -0.2133, -0.1393], [-0.7875, -1.1301, 0.2200], [2.0008, 0.7443, -0.3346], [-0.8704, -2.1957, 0.2962], [1.9561, -0.8451, -1.0615], [-0.2049, 1.5550, -0.9221], [-0.3921, 1.7510, 0.8689], [2.2430, -0.6061, 0.5933]], "forces_ev_per_angstrom": [[2.6390, 0.0529, 0.4053], [-0.9103, 0.2396, 0.7423], [-1.6471, -2.4510, 0.8226], [-0.9649, 1.4979, -1.5290], [-1.1320, -2.1223, -3.6980], [0.8051, 1.7782, -0.6380], [0.7748, 2.1815, -0.3867], [0.2419, -0.3602, -0.0475], [-0.5561, 0.8672, 1.1657], [-0.3313, 0.2668, 0.5708], [-0.6393, -0.5896, -0.2722], [1.7201, -1.3608, 2.8645]], "lumo_ev": 0.74, "orbital_gap_ev": 9.74, "total_energy_ev": -17125.214, "multiplicity": 1, "e_above_lowest_ev": 2.916}


No. 2
{"formula": "C2H2NO3S2", "method": "wB97M-V/def2-TZVPD", "symbols": ["S", "S", "O", "O", "O", "N", "C", "C", "H", "H"], "positions_angstrom": [[0.7211, -1.2598, -0.6692], [0.5714, -0.8218, 1.6758], [-2.3273, 0.9639, 0.0930], [1.9556, -1.0050, -1.4054], [1.6572, 0.0136, 2.2851], [-0.6698, 0.0707, 1.4804], [-1.2423, 0.4270, 0.3071], [-0.2744, 0.2095, -0.9726], [0.2972, 1.0876, -0.8189], [-0.6886, 0.3145, -1.9752]], "forces_ev_per_angstrom": [[-2.1444, 0.4204, 0.1386], [2.2217, 0.3223, 0.7109], [0.5991, -0.3610, 0.8288], [2.4817, 0.0110, -0.7218], [-0.5650, -0.9547, -0.8751], [-2.6440, 1.0119, -0.5557], [0.2439, -0.2161, -1.8349], [-1.1602, -0.4233, 2.0689], [1.4859, 0.7465, -0.1031], [-0.5187, -0.5571, 0.3434]], "lumo_ev": 3.48, "orbital_gap_ev": 7.46, "total_energy_ev": -31409.500, "multiplicity": 1, "e_above_lowest_ev": 1.664, "total_charge": -1}


No. 3
└──
I am increasingly using GitHub Actions these days. If you’re new to this you might want to check out our article or video. In this article I will show you 5 cool ways I use it day to day. Run tests and linters The first and most obvious reason is to automate tooling. Although you probably want to… Continue reading 5 ways I use GitHub Actions
Annotate all the things! Why you should care about Python type hints …
By PyBites Team on 16 August 2022
Listen now: This week we have Will Frey on the podcast: ML engineer, Python “knowledge dictionary” and type hints fan & geek. We talk about his background, how he learns / keeps up with Python’s fast moving ecosystem and of course we look at Python’s type hints in-depth: why care and some of his favorite tricks. We… Continue reading Annotate all the things! Why you should care about Python type hints …
How to package and deploy CLI applications with Python PyPA setuptools build
By yaythomas on 30 August 2021
Data records, kept here for reference =
[1]
An isolated ion of composition C4H10N4 and charge +2 in a non-equilibrium geometry. Source: OMol25; level of theory: ωB97M-V/def2-TZVPD.

```
18
Properties=species:S:1:pos:R:3:forces:R:3
C 0.5324 2.7608 0.6382 -2.451 0.130 4.667
N 0.0943 1.4708 0.1957 0.806 -3.336 -1.265
N 0.0063 0.4013 0.8496 -0.506 1.219 1.038
N -0.2120 -0.6647 -0.0954 0.711 0.414 -0.846
C -1.5139 -1.3690 0.2136 -2.989 -0.999 -2.964
C 0.9107 -1.6327 -0.0082 2.753 -1.675 -1.862
C -0.0038 -0.0397 -1.3610 -0.171 5.106 -1.567
N 0.1068 1.3252 -1.1780 -0.348 -5.157 -1.641
H 1.1742 3.1023 -0.0799 1.648 1.054 -1.862
H 1.0206 2.5965 1.6683 -0.899 0.627 -1.530
H -0.4339 3.3767 0.6838 1.446 -0.431 0.125
H -1.3560 -1.7993 1.1287 0.385 -1.255 2.241
H -2.4785 -0.8288 0.2286 1.090 1.147 0.173
H -1.8454 -2.1406 -0.5795 1.640 0.885 0.982
H 1.0999 -2.0260 0.9078 -0.192 -0.220 3.609
H 0.7918 -2.5997 -0.5103 -1.178 0.591 -0.853
H 1.9415 -1.3509 -0.3388 -1.115 1.037 -0.102
H 0.1650 -0.5822 -2.3631 -0.630 0.864 1.658
```
Positions in Å, forces in eV/Å.

Computed properties:
* relative energy (zero: lowest compared OMol25 entry of this formula, charge and spin): 164.9 kcal/mol
* total charge: +2
* highest occupied orbital energy: -22.04 eV
* structure (SMILES): C[N+]1=N[N+](C)(C)C=N1
* calculated total energy: -376.54053 Eh

How is the electron density shared among the atoms? According to natural (NBO), the charges in e are:
1 C -0.4334
2 N 0.1790
3 N 0.1716
4 N -0.1625
5 C -0.4402
6 C -0.5014
7 C 0.3235
8 N -0.1460
9 H 0.2831
10 H 0.2988
11 H 0.3164
12 H 0.2618
13 H 0.3013
14 H 0.3042
15 H 0.2875
16 H 0.3086
17 H 0.2986
18 H 0.3490

=====

[2]
C4H10N4O in the gas phase in a non-equilibrium geometry. Source: OMol25; level of theory: ωB97M-V/def2-TZVPD.

```
19
Properties=species:S:1:pos:R:3:forces:R:3
C -1.6810 0.3254 0.9706 0.404 -0.081 0.246
N 0.9040 -1.2708 -1.2515 0.437 -0.195 -0.405
C -0.0650 -1.1620 -0.3236 -0.629 0.545 -0.424
C 0.8105 0.7819 0.7224 0.039 0.783 0.482
C -0.4558 0.3191 0.0501 0.273 -1.030 0.146
N 1.7678 -0.2486 -1.6832 0.250 0.206 -0.105
N 1.1064 0.1584 1.8301 -0.232 -0.344 0.005
N -0.6566 1.0706 -1.1783 -0.036 0.069 -0.124
O -0.6046 -2.1319 0.1696 -0.126 -0.140 0.346
H 1.2061 -2.2028 -1.5041 -0.139 0.131 0.219
H 1.3129 0.2708 -2.4352 -0.021 -0.165 0.317
H 1.8810 0.4179 -0.9069 0.116 -0.194 -0.397
H 1.9684 0.3903 2.3055 -0.158 -0.035 -0.052
H 0.5780 -0.6290 2.2323 0.120 0.305 -0.155
H -1.5579 0.8700 -1.5906 -0.074 0.090 0.083
H -0.5673 2.0623 -1.0061 -0.042 0.068 0.015
H -1.5423 -0.3550 1.8136 -0.094 0.041 -0.065
H -1.8407 1.3342 1.3567 -0.022 -0.019 -0.064
H -2.5638 -0.0006 0.4285 -0.064 -0.035 -0.066
```
Positions in Å, forces in eV/Å.

Computed properties:
* relative energy (zero: lowest compared OMol25 entry of this formula, charge and spin): 61.1 kcal/mol
* total charge: 0
This article covers how to package your Python code as a CLI application using just the official PyPA provided tools, without installing additional external dependencies. If you prefer reading code to reading words, you can find the full example demo code discussed in this article here: example repo of Python CLI packaged with PyPA setuptools… Continue reading How to package and deploy CLI applications with Python PyPA setuptools build
Fast Emoji Lookup from the Command Line
By Bob Belderbos on 7 May 2021
Today I wanted to share a little app I built the other day to search emojis from the command line.
How to Deploy Your Open Source Package to PyPI
By Bob Belderbos on 31 August 2020
In this post I share some useful things I learned deploying an open source package to PyPI.
My Anaconda Workflow: Python environment and package management made easy
By Martin Uribe on 24 July 2018
in this article martin provides an easy-to-follow reference guide of his anaconda workflow. he uses this to make his life easier managing the his python environment and package dependencies. and to great avail as you will soon discover. not only will you learn the basics of the powerful conda tool, he also goes into more depth on the more niche/advanced features like using alternate channels, distributing and cloning environments, updating anaconda, and setting environment variables. warning: this might get you on anaconda, and if you are already you probably want to keep this one nearby for reference.
Code Challenge 30 – The Art of Refactoring: Improve Your Code
By PyBites Team on 1 August 2017
Hi Pythonistas, a new week, a new ‘bite’ of Python coding. Wow challenge 30 already! This week we let you hone your refactoring skills. Learn, code, PR submit (don’t be shy) and above all have fun!